Two days later, an Xiaojing felt that she was about to get moldy in the dark room.

But the man in black is not always there. As soon as he leaves, he can take action.

An Xiaojing won't let go of any clues.

Hope to find a clue.

But she didn't find anything, and that person was not able to cheat by pretending to be stupid.

Suddenly, someone is talking outside the door

She heard the two voices, but because of the sound insulation, she couldn't hear what they were saying.

Obviously, there are two people in conversation, one is a man in black, the other is a person who is very familiar with himself.

A name, Leng Chenxi, flashed through my mind at the same time.

Once again, an Xiaojing put her ear to the door.

And close, more let her know, that person is cold dawn.

Didn't she see him around here once before?

The conversation between the two people gradually changed from a gentle one to an emotional one.

The man in black spoke a little louder.

"Now is Leng Yichen's most vulnerable time. We have an Xiaojing in our hands. He certainly has no mind to manage the company."

The man in black stopped for a moment, then whispered.

"So now is the best time for you to make the empire a total failure."

His tone was still overcast and cold. An Xiaojing listened very clearly.

So, their target, including Leng Chenxi, is Leng Yichen an imperial group?

Yes, the man in black extorted 500 million from Leng Yichen, which is not a small number, nor is it a number that ordinary people are satisfied with.

the man in black, his ambition is too big.

He is also familiar with people's heart, so he can use himself and Leng Chenxi to deal with Leng Yichen.

This will find a shortcut.

An Xiaojing is sweating in the palm of her hand!


The man stopped for a long time before he began to speak. It should be hesitation.

"Don't forget what Leng Yichen's parents did to your family. Don't forget that you still have hatred. If you don't do it now, maybe there will be no chance in the future."

The man in black was worried at this time, as if he was worried that another person would hesitate.

An Xiaojing was shocked by this answer.

Hate? What's going on?

"How could I forget? How can I forget the hatred? I will definitely bring down the Empire. "

Then the man gave a smile.

Yes, this person is Leng Chenxi.

His attitude. There is also the tone of speech, there can be no second person.

No wonder Leng Chenxi seems to have changed recently.

It seems that they are not so close to her or Leng Yichen. It is because of hatred.

The man in black instigates Leng Chenxi's hatred.

But she didn't believe it. Leng Yichen's parents should be innocent, but why did the man in black say that?

Is it to make Leng Chenxi and Leng Yichen turn into enemies?

But listening to the persistence in his voice, it doesn't seem like this.

An Xiaojing didn't know what to do, so she had to write it down silently. If she had a chance to go out, she would make a good investigation.

"I hope you don't forget the hatred as you are now. Only when you have hatred can you live a long life!"

The voice of the man in black rang again. He seemed to say it to himself and to another man.

An Xiaojing is in a mess.

Who is this man in black and why?

"Why is this woman so quiet today?"

Suddenly, the silver faced man in black asked, and then walked to an Xiaojing's dark room.

An Xiaojing screamed in her heart that she was not good. Was she found out?

She had no choice but to pretend to sleep, but the man in black just came in to make sure she was still sleeping and left.

After hearing the steps of the man in black leaving, an Xiaojing's heart relaxed.

It seems that now the man in black has completely put down his guard against her, which is of course the best.

She looked at the direction of her head and pretended to sleep if she didn't succeed. What was Leng Yichen doing?

At the same time, she prayed in her heart that Leng Yichen would never give up managing the company.

She didn't want the Empire to fall.

Although, there are a lot of people behind him.

But he must not be defeated.

On the other hand, Leng Yichen is still searching for an Xiaojing's whereabouts, but he can't find her.

Leng Yichen lost sleep for several nights.

Occasionally a shallow sleep, dream, see is covered with blood an Xiaojing.For three days.

He had nothing to do with the other party's escape.

If we let him know who abducted an Xiaojing, he will make that person pay a very painful price.

But now the most important thing is not to ask who to pay what price, but to get an Xiaojing's whereabouts.

Chengfeng pushes the door of Leng Yichen's office again, and Leng Yichen looks at him with a surprise

Chengfeng helpless, can only shake his head toward Leng Yichen, Leng Yichen just waved his hand, let Chengfeng out.

Leng Yichen told Chengfeng that he would report to him in three hours whether he had any news or not.

Chengfeng comes in every three hours, and every time there is no news.

Leng Yichen is looking forward to Chengfeng telling him that he has found it every time, but every time he is waiting for him, he is disappointed!

"Dong Dong Dong!"

There was a knock at the door.

Cold dawn stepped in from the glass door with a smile.

"Brother, I have a project on hand recently, which is related to the Internet. You... "

"Need my signature?"

Leng Yichen asked.

Cold dawn nodded.

"I've seen your project, but you need to train yourself to win it."


Leng Chenxi wants to refute, Leng Yichen sees off the guests.

But he did not expect that all the company's computers were hacked overnight, the computer's display screen is a very terrible picture.

Every one of them is

Many of my colleagues have been scared to cry.

And these are not big problems.

all the data of Leng Yichen company have been invaded by viruses sent by hackers.

In other words, the Empire group is going bankrupt.

# Unrelated to this article: calculated crystals
********
Entry 1:
# La4Pm3Pr8
Theoretical powder diffraction line list, Cu Kα X-rays. Input: a DFT-relaxed cell (PBE, Alexandria).
Lines closer than 0.1° are merged.

Cell lengths 9.503, 9.503, 7.006 Å; angles 111.58, 111.58, 82.20 degrees
Sites, in units of the cell vectors:
La1 0.000 0.000 0.000
La2 0.000 0.000 0.500
La3 0.000 0.500 0.000
La4 0.500 0.000 0.000
Pm1 0.000 0.500 0.500
Pm2 0.500 0.000 0.500
Pm3 0.500 0.500 0.000
Pr1 0.248 0.248 0.744
Pr2 0.248 0.752 0.000
Pr3 0.298 0.298 0.299
Pr4 0.298 0.702 0.500
Pr5 0.702 0.298 0.500
Pr6 0.702 0.702 0.701
Pr7 0.752 0.248 0.000
Pr8 0.752 0.752 0.256

Peak list (12 most intense, 2θ = 10–90°, by angle)
2θ 25.43, I 17
2θ 28.57, I 100
2θ 29.23, I 54
2θ 32.62, I 52
2θ 38.23, I 16
2θ 38.61, I 15
2θ 40.85, I 32
2θ 41.33, I 29
2θ 51.01, I 19
2θ 53.22, I 15
2θ 59.51, I 18
2θ 60.61, I 24

Entry 2:
# La3Pm8Pr2
Theoretical powder diffraction line list, Cu Kα X-rays. Input: a DFT-relaxed cell (PBE, Alexandria).
Lines closer than 0.1° are merged.

Cell lengths 12.025, 21.482, 3.590 Å; angles 90.00, 90.00, 90.00 degrees
Sites, in units of the cell vectors:
La1 0.000 0.000 0.000
La2 0.140 0.298 0.000
La3 0.360 0.798 0.000
La4 0.500 0.500 0.000
La5 0.640 0.202 0.000
La6 0.860 0.702 0.000
Pm1 0.042 0.429 0.500
Pm2 0.057 0.158 0.000
Pm3 0.134 0.713 0.500
Pm4 0.212 0.554 0.000
Pm5 0.288 0.054 0.000
Pm6 0.366 0.213 0.500
Pm7 0.443 0.658 0.000
Pm8 0.458 0.929 0.500
Pm9 0.542 0.071 0.500
Pm10 0.557 0.342 0.000
Pm11 0.634 0.787 0.500
Pm12 0.712 0.946 0.000
Pm13 0.788 0.446 0.000
Pm14 0.866 0.287 0.500
Pm15 0.943 0.842 0.000
Pm16 0.958 0.571 0.500
Pr1 0.180 0.900 0.500
Pr2 0.320 0.400 0.500
Pr3 0.680 0.600 0.500
Pr4 0.820 0.100 0.500

Peak list (12 most intense, 2θ = 10–90°, by angle)
2θ 26.24, I 22
2θ 27.77, I 24
2θ 29.27, I 63
2θ 30.00, I 21
2θ 30.05, I 55
2θ 30.50, I 55
2θ 30.88, I 100
2θ 32.30, I 28
2θ 33.78, I 55
2θ 35.41, I 29
2θ 50.87, I 23
2θ 60.21, I 24

Entry 3:
# La5Pm4Pr3
Theoretical powder diffraction line list, Cu Kα X-rays. Input: a DFT-relaxed cell (PBE, Alexandria).
Lines closer than 0.1° are merged.

Cell lengths 6.421, 7.387, 9.095 Å; angles 90.26, 90.08, 90.09 degrees
Sites, in units of the cell vectors:
La1 0.000 0.000 0.000
La2 0.333 0.500 0.335
La3 0.500 0.249 0.000
La4 0.500 0.751 0.000
La5 0.667 0.500 0.665
Pm1 0.167 0.752 0.666
Pm2 0.334 0.000 0.335
Pm3 0.666 0.000 0.665
Pm4 0.833 0.248 0.334
Pr1 0.000 0.500 0.000
Pr2 0.167 0.248 0.665
Pr3 0.833 0.752 0.335

Peak list (12 most intense, 2θ = 10–90°, by angle)
2θ 29.51, I 100
2θ 29.59, I 33
2θ 34.18, I 45
2θ 34.35, I 22
2θ 49.09, I 16
2θ 49.21, I 24
2θ 49.35, I 8
2θ 58.26, I 10
2θ 58.36, I 24
2θ 58.49, I 14
2θ 58.65, I 10
2θ 61.31, I 8

Entry 4:
# LaPm2Pr3
Theoretical powder diffraction line list, Cu Kα X-rays. Input: a DFT-relaxed cell (PBE, Alexandria).
Lines closer than 0.1° are merged.

Cell lengths 3.548, 6.111, 20.061 Å; angles 90.00, 90.00, 90.00 degrees
Sites, in units of the cell vectors:
La1 0.000 0.000 0.000
La2 0.500 0.500 0.500
********

And all this, thanks to the cold dawn.

Put forward a computer case, let Leng Yichen refuse himself, so as to reduce his suspiciousness.

Even if something really happened, Leng Yichen would not doubt him.

Leng Yichen sat in the office with a look of despair.

It's not the imperial group, it's an Xiaojing.

What's money? No more money. But an Xiaojing has been out of touch for four days.

That is to say, after 72 hours, if the hostage is not found, it means that the woman is dead.



No way!


Su muying's voice.

"What to do? The company can't afford it. Our data has been dug up. "